The reader should reproduce the lines underneath from the one with "3.30 1.15" to the one with "0.0351" word for word.
A structure of composition C9H15N3O4, computed with wB97M-V/def2-TZVPD.

Computed properties:
orbital gap: 8.94 eV
E_LUMO: -0.1 eV
energy above the lowest of the compared OMol25 structures with the same formula, charge and spin: 6.4637 eV
HOMO: -9.02 eV
largest force on an atom: 0.114 hartree/bohr
calculated total energy: -22231.4758 eV

CARTESIAN COORDINATES (ANGSTROEM)
1 C 2.53 -0.81 -0.76
2 C 0.93 -0.72 -0.99
3 C 2.56 -1.40 0.80
4 C 2.46 -0.18 1.59
5 C 3.38 0.87 0.74
6 C -1.10 0.59 -0.24
7 C -1.50 2.07 -0.34
8 C -2.02 -0.05 0.95
9 C -2.73 -1.27 0.34
10 H 3.30 1.15 -1.56
11 H 2.95 -1.68 -1.37
12 H 1.76 -2.18 1.24
13 H 3.67 -1.69 0.95
14 H 1.40 0.04 1.78
15 H 3.13 -0.33 2.49
16 H 3.17 2.05 0.72
17 H 4.62 0.43 1.09
18 H 1.06 1.12 -0.33
19 H -1.47 0.07 -1.11
20 H -1.01 -0.12 1.81
21 H -2.63 0.79 1.46
22 H -0.97 -2.04 -0.63
23 H -2.65 -3.21 -0.67
24 H -0.69 3.89 -0.40
25 N 3.34 0.48 -0.76
26 N 0.37 0.30 -0.34
27 N -2.07 -2.35 -0.35
28 O 0.30 -1.70 -1.25
29 O -2.69 2.42 -0.09
30 O -3.96 -1.28 0.63
31 O -0.44 2.82 -0.29

----------

(A)
C3H10NO | ωB97M-V with the def2-TZVPD basis set

Positions of all 15 atoms, in Å:
C  0.0035  -1.4074  -1.5515
N  1.0820  -0.9318  -0.4843
H  -0.6232  -0.6208  -1.9626
H  -0.6672  -2.0323  -0.9646
H  0.5523  -1.8749  -2.3618
H  1.7231  -0.2044  -0.7853
H  0.3656  -0.6516  0.1821
H  1.6077  -1.7958  -0.3998
C  -1.3106  0.9932  1.5066
C  -0.5433  1.6716  0.6825
O  0.8270  1.4413  0.5856
H  -1.0539  0.4598  2.4242
H  -2.4034  0.9599  1.4955
H  -0.7485  2.5983  0.1478
H  1.1889  1.3947  1.4853

## Properties
- LUMO level (hartree) = -0.12876
- total charge = +1
- gap between HOMO and LUMO (eV) = 10.18
- HOMO (eV) = -13.7

These are the natural (NBO) partial charges, in e, on atoms 1 to 6: number 1, C, carries -0.4107; number 2, N, carries -0.6967; number 3, H, carries 0.2484; number 4, H, carries 0.2322; number 5, H, carries 0.2366; number 6, H, carries 0.4575

---

(B)
C3H10NO | ωB97M-V with the def2-TZVPD basis set

Positions of all 15 atoms, in Å:
C  1.1530  1.8170  -1.3168
O  1.5711  1.0284  -0.1959
H  0.2372  1.3757  -1.7301
H  1.8290  1.7926  -2.1838
H  1.0330  2.8495  -0.9873
H  2.5007  0.7632  -0.2368
C  -0.4667  -2.1095  0.6092
C  -1.7206  -0.0378  1.0306
N  -0.6853  -0.6586  0.5588
H  -0.4862  -2.5895  -0.3714
H  0.5126  -2.2063  1.0727
H  -1.2647  -2.5188  1.1963
H  -2.7518  -0.2468  0.8003
H  -1.4963  0.8179  1.6546
H  0.0351  -0.0771  0.0995

## Properties
- LUMO level (hartree) = -0.22162
- total charge = +1
- gap between HOMO and LUMO (eV) = 8.80
- HOMO (eV) = -14.8

These are the natural (NBO) partial charges, in e, on atoms 1 to 6: number 1, C, carries -0.2629; number 2, O, carries -0.7758; number 3, H, carries 0.1649; number 4, H, carries 0.2025; number 5, H, carries 0.1984; number 6, H, carries 0.5047

---

It is (A) that is most stable; the runner-up trails by 0.418 eV.

---

(A)
C3H6O3 | ωB97M-V with the def2-TZVPD basis set

Positions of all 12 atoms, in Å:
C  1.2353  0.7120  -0.2390
C  0.0767  -0.2559  -0.0511
O  0.3148  -1.2087  1.0006
O  -0.3329  -0.8896  -1.2436
C  -1.1919  0.5134  0.4781
O  -2.2834  0.4296  -0.0124
H  1.4705  0.9483  -1.2946
H  1.0897  1.6680  0.3884
H  2.1395  0.0547  0.0013
H  -0.1578  -1.9665  0.6891
H  -1.3450  -0.9502  -1.1944
H  -1.0155  0.9450  1.4775

## Properties
- LUMO level (hartree) = 0.02765
- gap between HOMO and LUMO (eV) = 10.86
- HOMO (eV) = -10.1

These are the natural (NBO) partial charges, in e, on atoms 1 to 6: number 1, C, carries -0.6722; number 2, C, carries 0.3957; number 3, O, carries -0.7093; number 4, O, carries -0.7197; number 5, C, carries 0.4149; number 6, O, carries -0.5261

---

(B)
C3H6O3 | ωB97M-V with the def2-TZVPD basis set

Positions of all 12 atoms, in Å:
C  0.6213  0.6719  -0.2487
C  -0.4125  -0.5096  0.0275
O  0.0703  -1.4086  0.9608
O  -0.7095  -1.2127  -1.1670
C  -1.9543  0.1879  0.6167
O  -2.6723  0.6669  -0.1583
H  1.3080  0.5933  0.4978
H  0.9857  0.4427  -1.2242
H  0.1520  1.6908  -0.2580
10 H 3.30 1.15 -1.56
11 H 2.95 -1.68 -1.37
12 H 1.76 -2.18 1.24
13 H 3.67 -1.69 0.95
14 H 1.40 0.04 1.78
15 H 3.13 -0.33 2.49
16 H 3.17 2.05 0.72
17 H 4.62 0.43 1.09
18 H 1.06 1.12 -0.33
19 H -1.47 0.07 -1.11
20 H -1.01 -0.12 1.81
21 H -2.63 0.79 1.46
22 H -0.97 -2.04 -0.63
23 H -2.65 -3.21 -0.67
24 H -0.69 3.89 -0.40
25 N 3.34 0.48 -0.76
26 N 0.37 0.30 -0.34
27 N -2.07 -2.35 -0.35
28 O 0.30 -1.70 -1.25
29 O -2.69 2.42 -0.09
30 O -3.96 -1.28 0.63
31 O -0.44 2.82 -0.29

----------

(A)
C3H10NO | ωB97M-V with the def2-TZVPD basis set

Positions of all 15 atoms, in Å:
C  0.0035  -1.4074  -1.5515
N  1.0820  -0.9318  -0.4843
H  -0.6232  -0.6208  -1.9626
H  -0.6672  -2.0323  -0.9646
H  0.5523  -1.8749  -2.3618
H  1.7231  -0.2044  -0.7853
H  0.3656  -0.6516  0.1821
H  1.6077  -1.7958  -0.3998
C  -1.3106  0.9932  1.5066
C  -0.5433  1.6716  0.6825
O  0.8270  1.4413  0.5856
H  -1.0539  0.4598  2.4242
H  -2.4034  0.9599  1.4955
H  -0.7485  2.5983  0.1478
H  1.1889  1.3947  1.4853

## Properties
- LUMO level (hartree) = -0.12876
- total charge = +1
- gap between HOMO and LUMO (eV) = 10.18
- HOMO (eV) = -13.7

These are the natural (NBO) partial charges, in e, on atoms 1 to 6: number 1, C, carries -0.4107; number 2, N, carries -0.6967; number 3, H, carries 0.2484; number 4, H, carries 0.2322; number 5, H, carries 0.2366; number 6, H, carries 0.4575

---

(B)
C3H10NO | ωB97M-V with the def2-TZVPD basis set

Positions of all 15 atoms, in Å:
C  1.1530  1.8170  -1.3168
O  1.5711  1.0284  -0.1959
H  0.2372  1.3757  -1.7301
H  1.8290  1.7926  -2.1838
H  1.0330  2.8495  -0.9873
H  2.5007  0.7632  -0.2368
C  -0.4667  -2.1095  0.6092
C  -1.7206  -0.0378  1.0306
N  -0.6853  -0.6586  0.5588
H  -0.4862  -2.5895  -0.3714
H  0.5126  -2.2063  1.0727
H  -1.2647  -2.5188  1.1963
H  -2.7518  -0.2468  0.8003
H  -1.4963  0.8179  1.6546
H  0.0351  -0.0771  0.0995